Chrysler 3.3 3.8l Engine
Chrysler 3.3 3.8l Engine
Chrysler 3.3 3.8l Engine
hrysler introduced its new family of 60 degree V6 • They’re conventional 60 degree V6 motors with iron blocks
engines back in 1990, and we covered them through and aluminum heads, including some castings that are shared by
2000 back in ’03, but Chrysler has made a number of both engines and some that aren’t.
changes since then, so it’s time to update them through • The differences between the 3.3L and 3.8L engines are all
’09. Before we do that, though, here’s a quick overview of the 3.3L internal with different cranks, rods, pistons and cams.
and 3.8L engines: • Both engines were used exclusively for FWD applications
The 4666031AA block had three more bolt bosses on the passenger
The 4781511AA block had a flat pad for the oil filter adapter and side, but they weren’t drilled. The boss between the crossbolts (see
crossbolted mains. It also had one more bolt hole than the arrow) must be machined down flush with the block if the engine is
4781511AB (see arrow). used for an AWD minivan.
Chrysler modified the chambers and relocated the spark plugs for the
’01 heads (right).
There have been two cast iron cranks used for these engines, one
for the 3.3L and another for the 3.8L.
3.3L: The 3654 casting with a 3.19˝ stroke fits all the 3.3L
3.8L: The 3.8L uses a 6433 casting with a 3.42˝ stroke. It’s easy
to tell them apart because the second counterweight on the 3.8L
is noticeably larger along with some of the others.
There are two different rods for these engines, a long one for the
3.3L and a short one for the 3.8L, but there are several different
castings along with two powdered metal rods that have been used
over the years.
3.3L: There have been several rod castings used for the 3.3L, The ’01 heads (right) had seven rocker stands instead of the four
but the only noticeable difference between them is the size of the found on the earlier heads (left).
balance pads, so they’re all interchangeable in sets. The early
4621694 rods were replaced by the 4448903 rods that were some rebuilders reuse them and others replace them; it’s your
replaced by the 4654355 castings around ’01. The 014AA pow- choice. The powdered metal rods use capscrews that require a
dered metal rod with the cracked cap showed up in ’07. torque-turn procedure, so be sure to follow the right specifications
3.8L: Chrysler used two cast rods, a 4448904 in the earlier for each version.
engines and 4654356 from ’01 through ’06. The 0015 powdered
metal rod with the cracked cap was used from ’07 through ’09. PISTONS
The rod bolts for the cast rods are a torque-to-yield design that There have been two pistons used for the late model engines, one
are supposed to be replaced after being torqued three times, so for the 3.3L and one for the 3.8L.
3.3L: The original dished piston was
replaced in ’98 by a flat top that was used
with minor changes up through ’09.
3.8L: The early 3.8L piston had a deep,
oblong dish, but it was replaced by a flat top
that had a lower compression height in ’98,
too. The 3.8L continued to use this version
up through ’09.
The late model roller cams for the ’01 and
later engines can cause some problems
The exhaust ports on the ’01 heads (left) were revised, too. because there are two different profiles, one
The front cover gasket for the RWD engines had two
holes for the oil passages instead of the single lower hole The aluminum intakes used two of the fiber gaskets (top) instead of the indi-
that was open for the FWD engines. vidual molded ones (bottom) that were used for the plastic intakes.
The 4781547AB/AC front cover without the post was used for the
minivans from ’03 through 1/1/05. It fits the engines with the
The front cover for the Wrangler is unique because the oil filter is on wide chain and gears.
the cover instead of on the side of the block. vans to the latest version that requires the use of a special narrow
“next generation controller” (NGC) in ’04, so there are three more gear and chain setup (p/n 68001398AA) for the engines that orig-
notches in the cam sensor and all of the notches are in different inally came without NGC. Be sure to check all of the narrow gears
locations; the new cam gear is part number 5127185AA. It still uses that come off any cores to see if they are with or without NGC
the wide gear that’s about 0.540˝ wide along with the wide chain before reusing them.
that measures about 0.685˝ across the links.
1/1/05-’08: Chrysler continued to use NGC setup, but they CYLINDER HEADS
switched to a narrow gear that’s approximately 0.415˝ wide with a There have been three different head castings used from 2000
chain that measures about 0.555˝ across the links.This gear is a p/n through 2010, including some that came with EGR and some that
5137663AA. didn’t.
There are a couple of caveats regarding the timing components, 2000: The 4694183 heads with the longer valve stems were
too: used from ’98 through ’00. These heads didn’t have provisions for
1) The front covers were modified to relocate the cam sensor EGR.
when the cam sprocket and chain were changed, so they’re not 2001-’07: The 4694688AA/AB castings that were introduced
interchangeable by application unless you use the matching chain in ’01 were considerably different. They had seven rocker stands
and gears. instead of the four found on the earlier castings, the exhaust ports
2) Chrysler has superseded all the old front covers for the mini- were flattened on the top and bottom, the chambers were revised
’01-’02 Minivan c/n 4781547AA With wide chain and extra boss
p/n 5019333AA
’03-1/1/05 Minivan c/n 4781547AB/AC With wide chain, w/o extra boss
p/n 5019333AB/AC/AD
1/1/05-’06 Minivan c/n 4666005AA W/narrow chain, w/o extra bolt hole
p/n 5019333AE/AF
’07-’08 Minivan c/n 4666005AC W/narrow chain and 1 extra bolt hole
p/n 5137544AD
’01-’10 Minivan c/n ???? W/narrow chain and 1 extra bolt hole
p/n 5137544AE Supersedes all minivan covers
’04 –’08 Pacifica c/n 4648947AB With torque axis mount
p/n 68001673AB Requires front cover package
’07 – ’08 Wrangler c/n 4666020AA With oil filter on front cover
p/n 68003438AA Requires front cover package
and the rocker rail was raised for better sealing. It appears that the
’01-’02 engines had EGR, most of the ‘03s didn’t have it, and all ROCKERS
the ’04 through ’09 engines have had EGR. Chrysler used their typical stamped steel, shaft-mounted rockers on
2008-’10: The 4666049AA casting that superseded the these engines through 2000.Then, in ’01, they switched to a set of
4694688AA/AB castings fits all the 3.3L and 3.8L engines from lightweight, welded rockers that looked a lot like the ones found
’01 through ’10.There are a couple of minor changes on the inner on the old Slant Six. They were still shaft-mounted, but they used
edge of the deck surface, but the head gaskets seal so everything fits seven pedestals instead of the four that were used for the earlier
and works. rocker assemblies.
The new style welded rockers (bottom) replaced the earlier “mag-
The hole for the cam sensor (left) was moved back about 0.125˝ on num” style, stamped steel rockers (top) in ’01. The assembly was
engines that were built after 1/1/05 because the cam gear was about held on with seven bolts instead of the four found on the earlier
0.125˝ thinner. heads.
The front cover for the Pacifica has a torque axis mount for the
GASKETS engine.
There are several gasket sets listed for the late model 3.3L and 3.8L,
because there are some important differences, depending on both The front cover gasket is unique to the RWD application
the year and the application, but there are also a couple of mid-year because the upper oil hole feeds the oil from the block to the oil
changes that can really cause rebuilders some problems. filter that’s located on the front cover instead of on the side of the
Chrysler made a mid-year change to the intake plenum in ’02. block. Using a FWD gasket that has the upper oil hole blocked off
The early ’02 engines came with an aluminum intake and the later will cause oil starvation and an instant failure.We’d suggest check-
ones had the plastic intake that has been used ever since, so they ing this gasket before installing it on a Wrangler motor because we
[These data records were left in the text by mistake]
┌──
Crystalline Co2OF3 at its relaxed geometry, computed with GGA+U.

Geometry as extended XYZ:
```
30
Lattice="15.751 0.000 0.000 0.000 3.429 3.223 0.000 -3.429 3.223" Properties=species:S:1:pos:R:3 pbc="T T T"
Co 0.000 0.000 0.000
Co 1.572 0.000 2.996
Co 3.138 0.000 5.978
Co 4.716 0.000 2.957
Co 6.287 0.000 6.395
Co 7.876 0.000 2.929
Co 9.464 0.000 6.395
Co 11.035 0.000 2.957
Co 12.614 0.000 5.978
Co 14.180 0.000 2.996
O 0.000 0.000 1.775
O 3.156 0.000 4.202
O 6.283 0.000 1.727
O 9.468 0.000 1.727
O 12.595 0.000 4.202
F 0.000 0.000 4.420
F 1.572 -2.098 2.993
F 1.572 2.098 2.993
F 3.140 0.000 1.557
F 4.719 -2.100 2.960
F 4.719 2.100 2.960
F 6.319 0.000 4.379
F 7.876 -2.093 3.041
F 7.876 2.093 3.041
F 9.433 0.000 4.379
F 11.032 -2.100 2.960
F 11.032 2.100 2.960
F 12.611 0.000 1.557
F 14.179 -2.098 2.993
F 14.179 2.098 2.993
```

magnetization	7.00	μB per formula unit
E (MP2020)	-6.11	eV per atom
energy of formation from the pure elements	-1958	meV per atom
└──
[The data records stop here]
switched from two fiber gaskets to six individual molded gaskets know of one supplier that originally had the wrong front cover
sometime in ’02. That means you will have to supply both intake gasket in their RWD set.
sets for your ’02 motors to make sure the installer has the one he The head gaskets for the FWD and RWD applications are dif-
needs. ferent, too, because the water outlet is on the back for FWD appli-
Likewise, Chrysler changed the rocker covers in mid-year ’04. cations and on the front for RWD applications. That means that
They switched from the stamped steel covers to the plastic ones the water flow is “reversed” from one to the other, so don’t mix
that used a different gasket, so you will have to include both pairs them up… The right and left gaskets must be installed correctly,
of rocker gaskets for ’04 applications. The plastic covers were still too.
being used up through ’09 and appear to be the same in ’10.
The gasket for the oil filter adapter had three 8.0mm holes up
through ’06, but it has two 8.0mm holes and one 10mm hole
beginning in ‘07 because the RWD motor mount is fastened to the
back hole for the filter adapter with a 10mm bolt.
The RWD head gaskets (bottom) have fewer holes and some that are
in different places than the ones on the FWD gaskets (top) because
The rigid rocker gaskets for the stamped steel covers are on the bottom the coolant flow is reversed due to the change in the location of the
and the flexible ones for the plastic covers are on the top. water outlets.
All of the platforms, including the Pacifica and minivans, got
“NGC” for the 3.3L and 3.8L beginning in ’04, so the engines
must be built with the corresponding timing set and front cover.
Chrysler covers the EGR port with this plate and gasket when the So, that’s the story. These engines have been around for a long
vehicle comes without EGR. time and have been used in a lot of high value cars, trucks and
minivans, so we can expect to see quite a few of them for some
time to come. They’re easy to build if you pay attention to the
details, so you should be able to make some money on them
now that you know all the right combinations.